VOC’s Dr. Adrian Zenz Testifies to Congress on “Factories and Fraud in the PRC”

A leading China expert from the Victims of Communism Memorial Foundation (VOC) testified before the Congressional-Executive Commission on China at a hearing on “Factories and Fraud in the PRC: How Human Rights Violations Make Reliable Audits Impossible.”  
During the two-hour hearing on April 30—which was live-streamed to thousands of viewers and attended by leading members of the bipartisan committee—VOC’s China Director Dr. Adrian Zenz delivered updates on Beijing’s state-imposed forced labor system in Xinjiang, companies’ use of social audits to continue operating there despite ongoing atrocities in the region such as Uyghur forced labor, and policy recommendations to counter this.  

In conjunction with Dr. Zenz’s 47-page written testimony submitted to the Committee, Dr. Zenz’s remarks represent a groundbreaking compilation of research on the CCP’s crimes, the impossibility of credible social audits in Xinjiang, and new evidence of ongoing corporate complicity and audit-washing by companies such as Volkswagen.

As Committee Chairman Rep. Chris Smith stated, “Our hearing today focuses on those manufacturers, suppliers, importers, and retailers whose supply chains are tainted by reliance on forced labor [in China] to achieve the lowest prices, yet who seek to rely on social auditing companies to obscure and whitewash that reliance.” The U.S. Uyghur Forced Labor Prevention Act, which came into effect in June 2022, bans all imports from Xinjiang unless companies can prove the absence of forced labor.  

“If a company cannot say with precise certainty, to our government, to its shareholders, and, most importantly, to American consumers, that its products do not contain forced labor,” said Committee Co-Chair Senator Jeff Merkley, “then it needs to stop doing business there.”  

_What comes next are calculated molecules, not part of the entry_
=====
## P
DFT (ωB97M-V/def2-TZVPD) results for C2H6FNS as an isolated structure.

```
11
Properties=species:S:1:pos:R:3:mulliken_charge:R:1
C -0.0906 -0.6431 -0.2242 -0.287
C 0.6175 0.5924 0.2349 -0.763
N -1.8534 -0.2586 0.1304 -0.337
F -2.1062 0.9888 -0.3544 -0.165
S 2.3988 0.4369 -0.0714 -0.163
H 0.0380 -1.6597 0.2245 0.367
H 0.0230 -0.4799 -1.3795 0.275
H 0.2547 1.5350 -0.1635 0.337
H 0.3893 0.6773 1.2652 0.384
H -2.3116 -0.9578 -0.5913 0.258
H 2.6405 -0.2313 0.9293 0.095
```

Output
Kohn-Sham gap (eV): 10.19
Charge: 0
E_LUMO (eV): 0.89

=====

## Q
DFT (ωB97M-V/def2-TZVPD) results for a 3-piece molecular cluster, C2H6FNS overall.

```
11
Properties=species:S:1:pos:R:3:mulliken_charge:R:1
C -1.7758 -0.3854 -1.0144 -0.073
C 1.7360 -0.2114 0.8516 -0.651
N -1.7355 0.7074 -0.5586 0.026
F -3.0121 1.2392 0.6252 -0.622
S 2.1951 -0.2391 -0.8774 -0.155
H 1.9863 -1.1666 1.4259 0.265
H -2.0721 -1.4322 -0.8977 0.334
H 0.7111 0.1499 0.9727 0.206
H 2.2482 0.6496 1.2615 0.262
H -1.4370 1.6951 -0.5129 0.339
H 1.1558 -1.0065 -1.2758 0.069
```

Output
Kohn-Sham gap (eV): 9.35
Charge: 0
E_LUMO (eV): -0.05

=====

Most stable structure: P

=====

## P
DFT (ωB97M-V/def2-TZVPD) results for one molecule with the formula C3H7PS.

```
12
Properties=species:S:1:pos:R:3:mulliken_charge:R:1
C 0.0611 -1.4231 1.5208 -0.834
C 0.7440 -0.5883 0.7143 0.014
C 0.1413 -0.3253 -0.6063 -0.543
P 0.4473 1.5059 -1.0262 -0.030
S -1.5156 2.1230 -1.3183 -0.253
H 0.3768 -1.7273 2.4828 0.279
H -0.9428 -1.7713 1.2424 0.206
H 1.8654 -0.4734 0.8898 0.263
H 0.3910 -1.1005 -1.2798 0.446
H -0.9478 -0.5256 -0.4042 0.249
H 0.5300 1.8873 0.3035 0.060
H -1.1507 2.4185 -2.5189 0.142
```

Output
Kohn-Sham gap (eV): 9.96
Charge: 0
E_LUMO (eV): 0.89

=====

## Q
DFT (ωB97M-V/def2-TZVPD) results for one molecule with the formula C3H7PS.

```
12
Properties=species:S:1:pos:R:3:mulliken_charge:R:1
C 0.4319 1.1203 0.2922 -0.958
C 1.1515 0.0422 -0.4769 0.065
C 1.2925 -1.1776 0.1025 -0.747
P -2.3051 -1.0324 0.1552 -0.118
S -1.5971 0.8266 -0.1482 -0.122
H 0.5787 2.0145 -0.1058 0.418
H 0.4146 1.1222 1.3268 0.514
H 1.6082 0.1831 -1.5427 0.247
H 1.6853 -1.9844 -0.5490 0.208
H 1.1057 -1.6057 1.0583 0.310
H -2.5346 -0.8190 -1.2090 -0.016
H -1.8317 1.3102 1.0966 0.198
```

Output
Kohn-Sham gap (eV): 7.94
Charge: 0
E_LUMO (eV): 0.55

=====

Most stable structure: P

=====

## P
DFT (ωB97M-V/def2-TZVPD) results for a 2-piece molecular cluster, C5H8Cl2 overall.

```
15
Properties=species:S:1:pos:R:3:mulliken_charge:R:1
C 0.9226 -0.8607 -0.1809 0.136
C 0.7234 0.3377 -0.6238 0.034
C 2.2429 -1.6035 0.0415 -1.073
C -1.8471 1.1706 0.8054 -0.782
C -1.7124 0.9341 -0.5698 -0.184
Cl 1.6671 1.5942 -1.2653 -0.178
Cl -2.4239 -0.4772 -1.1102 -0.120
H -0.0022 -1.2662 0.2483 0.165
H 3.0060 -0.9145 -0.4260 0.269
H 2.5275 -1.7394 1.0822 0.269
H 2.2098 -2.5194 -0.3739 0.327
H -1.3689 0.3241 1.2173 0.211
H -1.3453 2.0609 1.2465 0.263
H -2.8208 1.2289 1.2881 0.337
H -1.7787 1.7304 -1.3794 0.327
```

Output
=====

Unfortunately, Beijing’s system of forced labor does not allow victims to speak freely, rendering the assessment of working conditions at individual companies nearly impossible. As a result, “due diligence efforts based on social or labor audits are not feasible,” said VOC’s Dr. Zenz. “Companies with operations or other business ties to Xinjiang, including through supply chains and intermediary countries, must be considered at risk of being tainted with forced labor.”  

In a recent instance of audit washing—that VOC reported in December 2023 and that featured in Dr. Zenz’s remarks to the committee—Volkswagen published an “audit” of its joint venture factory in Xinjiang that can best be described as highly problematic. “[The audit’s] methodology shed significant doubts on the findings validity…and consisted of little more than a visual on-site inspection, combined with a review of staff work contracts,” Dr. Zenz noted. “Such a review cannot identify state-imposed coercion. Experts have noted that a poorly designed audit is at best meaningless and at worst, excuses harms that the audit claims to mitigate.”  
To counter China’s system of forced labor and fraudulent audits, VOC’s testimony made detailed policy recommendations including:   
1) The creation of legislation that mandates companies whose supply chains involve an elevated risk of forced labor must disclose their supply chains to the raw material level.  
2) The U.S. Congress should conduct a detailed investigation of relevant auditing practices, experiences, and standards of auditing firms used by US-based companies to assess forced labor risks in China. 

3) Congress should also conduct a hearing with representatives from Volkswagen to investigate the circumstances of the audit of the SAIC-Volkswagen factory in Urumqi, clarify contradictions in the report and subsequent updates, and address ethical questions surrounding its presence in the region. 

Dr. Zenz’s testimony was requested by the Congressional-Executive Commission on China in recognition of VOC’s authoritative research uncovering human rights abuses in China. This notably includes Dr. Zenz’s recent report on the UN’s Xinjiang blindspot, which prompted the International Labour Organization to adopt nearly all of Dr. Zenz’s policy recommendations to more accurately measure and counter forced labor, in a new ILO handbook published in February. VOC’s other research includes its analysis of the hacked Xinjiang Police Files, which broke as a global news story in May 2022 in partnership with 14 world-leading media outlets including the BBC, Germany’s Der Spiegel, France’s Le Monde, and Spain’s El País.